_Material_
- - -
# LaTaCrO6
Simulated powder XRD pattern, CuKα. Input: the GGA+U geometry in Alexandria.

```
LaTaCrO6
1.0
5.478 0.000 0.000
-2.715 4.774 0.000
-0.037 -3.155 4.497
La Ta Cr O
1 1 1 6
Cartesian
0.000 0.000 0.000 La
0.014 0.026 3.386 Ta
2.754 1.594 1.158 Cr
-1.139 0.861 2.042 O
1.266 2.182 0.188 O
1.613 0.589 2.374 O
2.894 -3.110 4.461 O
2.710 3.046 2.391 O
3.922 -0.512 4.469 O
```

The 10 most intense peaks (15° ≤ 2θ ≤ 90°), by angle:
2θ/deg	I/Imax	hkl
19.77	100	1 -1 0
22.80	18	0 1 0
32.49	73	1 0 1
32.64	73	0 1 -2
38.24	19	1 1 0
38.37	19	-2 1 1
38.55	19	1 -2 2
46.47	17	0 2 0
46.68	15	2 0 -2
58.02	16	1 0 -3

----------

# KCaAl
Simulated XRD peak list, CuKα. Input: DFT lattice parameters and positions (GGA-PBE).
Neutral-atom scattering factors, no anomalous dispersion.

Crystal structure
```
KCaAl
1.0
3.9353 0.0000 0.0000
0.0000 3.9353 0.0000
0.0000 0.0000 14.7862
K Ca Al
2 2 2
Cartesian
0.0000 0.0000 0.0000
1.9677 1.9677 7.3931
0.0000 0.0000 10.8671
1.9677 1.9677 3.4740
0.0000 0.0000 4.9235
1.9677 1.9677 12.3166
```

Top 10 peaks for 10 to 90 degrees two-theta, by angle:
| d/Å | 2θ (°) | intensity |
| --- | --- | --- |
| 7.393 | 11.97 | 13.4 |
| 3.803 | 23.39 | 19.9 |
| 3.697 | 24.07 | 23.5 |
| 3.075 | 29.04 | 100.0 |
| 2.783 | 32.17 | 56.9 |
| 2.364 | 38.06 | 21.7 |
| 2.223 | 40.58 | 20.9 |
| 1.968 | 46.13 | 19.0 |
| 1.861 | 48.94 | 15.8 |
| 1.657 | 55.44 | 27.6 |

----------

Pm2Sm3Sn4: computed powder XRD pattern (copper Kα), based on a cell relaxed with GGA-PBE.

Top 10 peaks for 10° ≤ 2θ ≤ 90°, low angle first:
- 28.19°, I = 43
- 28.36°, I = 38
- 30.08°, I = 100
- 30.65°, I = 56
- 30.80°, I = 31
- 30.93°, I = 55
- 31.35°, I = 99
- 33.75°, I = 47
- 33.92°, I = 90
- 34.80°, I = 78

Crystal structure
```
Pm2Sm3Sn4
1.0
8.4778 0.0000 0.0000
0.0000 8.4588 0.0000
-2.8889 0.0000 7.5957
Pm Sm Sn
4 6 8
Direct
0.1941 0.1807 0.0629
0.1941 0.3193 0.5629
0.8059 0.6807 0.4371
0.8059 0.8193 0.9371
0.2445 0.6686 0.2365
0.2445 0.8314 0.7365
0.5000 0.0000 0.5000
0.5000 0.5000 0.0000
0.7555 0.1686 0.2635
0.7555 0.3314 0.7635
0.0824 0.5359 0.8336
0.0824 0.9641 0.3336
0.4853 0.1346 0.8660
0.4853 0.3654 0.3660
0.5147 0.6346 0.6340
0.5147 0.8654 0.1340
0.9176 0.0359 0.6664
0.9176 0.4641 0.1664
```

=====

K2LaP2Se7: computed powder XRD pattern (copper Kα), based on a cell relaxed with GGA-PBE.

Top 10 peaks for 10° ≤ 2θ ≤ 90°, low angle first:
- 10.42°, I = 100
- 12.78°, I = 67
- 15.19°, I = 55
- 26.08°, I = 60
- 29.64°, I = 61
- 29.97°, I = 75
- 30.30°, I = 47
- 30.66°, I = 78
- 31.36°, I = 58
- 35.28°, I = 49

Crystal structure
```
K2LaP2Se7
1.0
9.6757 0.0000 0.0000
0.0000 7.3275 0.0000
-7.7548 0.0000 21.2148
K La P Se
8 4 8 28
Direct
0.1500 0.0788 0.3237
0.1500 0.4212 0.8237
0.2459 0.5250 0.4864
0.2459 0.9750 0.9864
0.7541 0.0250 0.0136
0.7541 0.4750 0.5136
0.8500 0.5788 0.1763
0.8500 0.9212 0.6763
0.3496 0.0246 0.6498
0.3496 0.4754 0.1498
0.6504 0.5246 0.8502
0.6504 0.9754 0.3502
0.0365 0.0216 0.4583
0.0365 0.4784 0.9583
0.4223 0.5215 0.3289
0.4223 0.9785 0.8289
0.5777 0.0215 0.1711
0.5777 0.4785 0.6711
0.9635 0.5216 0.0417
0.9635 0.9784 0.5417
0.0423 0.2202 0.6026
0.0423 0.2798 0.1026
0.0844 0.7380 0.5924
0.0844 0.7620 0.0924
0.2100 0.0401 0.7520
0.2100 0.4599 0.2520
0.2768 0.0603 0.4994
0.2768 0.4397 0.9994
0.4091 0.7368 0.8863
0.4091 0.7632 0.3863
0.4142 0.0934 0.2178
0.4142 0.4066 0.7178
0.4852 0.2145 0.8951
0.4852 0.2855 0.3951
0.5148 0.7145 0.6049
0.5148 0.7855 0.1049
0.5858 0.5934 0.2822
0.5858 0.9066 0.7822
0.5909 0.2368 0.6137
0.5909 0.2632 0.1137
0.7232 0.5603 0.0006
0.7232 0.9397 0.5006
0.7900 0.5401 0.7480
0.7900 0.9599 0.2480
0.9156 0.2380 0.9076
0.9156 0.2620 0.4076
0.9577 0.7202 0.8974
0.9577 0.7798 0.3974
```

=====

Sn2AuSeS3: computed powder XRD pattern (copper Kα), based on a cell relaxed with GGA-PBE.

Top 10 peaks for 10° ≤ 2θ ≤ 90°, low angle first:
- 12.44°, I = 89
- 22.95°, I = 97
- 24.71°, I = 78
- 26.89°, I = 90
- 31.49°, I = 100
- 32.24°, I = 64
- 34.21°, I = 62
- 41.40°, I = 52
- 46.57°, I = 54
- 46.89°, I = 92
- - -

_Activity_
Start at the top of the lines further up and print each line, ending with the one that has "32.24°,".

_Written answer_
# LaTaCrO6
Simulated powder XRD pattern, CuKα. Input: the GGA+U geometry in Alexandria.

```
LaTaCrO6
1.0
5.478 0.000 0.000
-2.715 4.774 0.000
-0.037 -3.155 4.497
La Ta Cr O
1 1 1 6
Cartesian
0.000 0.000 0.000 La
0.014 0.026 3.386 Ta
2.754 1.594 1.158 Cr
-1.139 0.861 2.042 O
1.266 2.182 0.188 O
1.613 0.589 2.374 O
2.894 -3.110 4.461 O
2.710 3.046 2.391 O
3.922 -0.512 4.469 O
```

The 10 most intense peaks (15° ≤ 2θ ≤ 90°), by angle:
2θ/deg	I/Imax	hkl
19.77	100	1 -1 0
22.80	18	0 1 0
32.49	73	1 0 1
32.64	73	0 1 -2
38.24	19	1 1 0
38.37	19	-2 1 1
38.55	19	1 -2 2
46.47	17	0 2 0
46.68	15	2 0 -2
58.02	16	1 0 -3

----------

# KCaAl
Simulated XRD peak list, CuKα. Input: DFT lattice parameters and positions (GGA-PBE).
Neutral-atom scattering factors, no anomalous dispersion.

Crystal structure
```
KCaAl
1.0
3.9353 0.0000 0.0000
0.0000 3.9353 0.0000
0.0000 0.0000 14.7862
K Ca Al
2 2 2
Cartesian
0.0000 0.0000 0.0000
1.9677 1.9677 7.3931
0.0000 0.0000 10.8671
1.9677 1.9677 3.4740
0.0000 0.0000 4.9235
1.9677 1.9677 12.3166
```

Top 10 peaks for 10 to 90 degrees two-theta, by angle:
| d/Å | 2θ (°) | intensity |
| --- | --- | --- |
| 7.393 | 11.97 | 13.4 |
| 3.803 | 23.39 | 19.9 |
| 3.697 | 24.07 | 23.5 |
| 3.075 | 29.04 | 100.0 |
| 2.783 | 32.17 | 56.9 |
| 2.364 | 38.06 | 21.7 |
| 2.223 | 40.58 | 20.9 |
| 1.968 | 46.13 | 19.0 |
| 1.861 | 48.94 | 15.8 |
| 1.657 | 55.44 | 27.6 |

----------

Pm2Sm3Sn4: computed powder XRD pattern (copper Kα), based on a cell relaxed with GGA-PBE.

Top 10 peaks for 10° ≤ 2θ ≤ 90°, low angle first:
- 28.19°, I = 43
- 28.36°, I = 38
- 30.08°, I = 100
- 30.65°, I = 56
- 30.80°, I = 31
- 30.93°, I = 55
- 31.35°, I = 99
- 33.75°, I = 47
- 33.92°, I = 90
- 34.80°, I = 78

Crystal structure
```
Pm2Sm3Sn4
1.0
8.4778 0.0000 0.0000
0.0000 8.4588 0.0000
-2.8889 0.0000 7.5957
Pm Sm Sn
4 6 8
Direct
0.1941 0.1807 0.0629
0.1941 0.3193 0.5629
0.8059 0.6807 0.4371
0.8059 0.8193 0.9371
0.2445 0.6686 0.2365
0.2445 0.8314 0.7365
0.5000 0.0000 0.5000
0.5000 0.5000 0.0000
0.7555 0.1686 0.2635
0.7555 0.3314 0.7635
0.0824 0.5359 0.8336
0.0824 0.9641 0.3336
0.4853 0.1346 0.8660
0.4853 0.3654 0.3660
0.5147 0.6346 0.6340
0.5147 0.8654 0.1340
0.9176 0.0359 0.6664
0.9176 0.4641 0.1664
```

=====

K2LaP2Se7: computed powder XRD pattern (copper Kα), based on a cell relaxed with GGA-PBE.

Top 10 peaks for 10° ≤ 2θ ≤ 90°, low angle first:
- 10.42°, I = 100
- 12.78°, I = 67
- 15.19°, I = 55
- 26.08°, I = 60
- 29.64°, I = 61
- 29.97°, I = 75
- 30.30°, I = 47
- 30.66°, I = 78
- 31.36°, I = 58
- 35.28°, I = 49

Crystal structure
```
K2LaP2Se7
1.0
9.6757 0.0000 0.0000
0.0000 7.3275 0.0000
-7.7548 0.0000 21.2148
K La P Se
8 4 8 28
Direct
0.1500 0.0788 0.3237
0.1500 0.4212 0.8237
0.2459 0.5250 0.4864
0.2459 0.9750 0.9864
0.7541 0.0250 0.0136
0.7541 0.4750 0.5136
0.8500 0.5788 0.1763
0.8500 0.9212 0.6763
0.3496 0.0246 0.6498
0.3496 0.4754 0.1498
0.6504 0.5246 0.8502
0.6504 0.9754 0.3502
0.0365 0.0216 0.4583
0.0365 0.4784 0.9583
0.4223 0.5215 0.3289
0.4223 0.9785 0.8289
0.5777 0.0215 0.1711
0.5777 0.4785 0.6711
0.9635 0.5216 0.0417
0.9635 0.9784 0.5417
0.0423 0.2202 0.6026
0.0423 0.2798 0.1026
0.0844 0.7380 0.5924
0.0844 0.7620 0.0924
0.2100 0.0401 0.7520
0.2100 0.4599 0.2520
0.2768 0.0603 0.4994
0.2768 0.4397 0.9994
0.4091 0.7368 0.8863
0.4091 0.7632 0.3863
0.4142 0.0934 0.2178
0.4142 0.4066 0.7178
0.4852 0.2145 0.8951
0.4852 0.2855 0.3951
0.5148 0.7145 0.6049
0.5148 0.7855 0.1049
0.5858 0.5934 0.2822
0.5858 0.9066 0.7822
0.5909 0.2368 0.6137
0.5909 0.2632 0.1137
0.7232 0.5603 0.0006
0.7232 0.9397 0.5006
0.7900 0.5401 0.7480
0.7900 0.9599 0.2480
0.9156 0.2380 0.9076
0.9156 0.2620 0.4076
0.9577 0.7202 0.8974
0.9577 0.7798 0.3974
```

=====

Sn2AuSeS3: computed powder XRD pattern (copper Kα), based on a cell relaxed with GGA-PBE.

Top 10 peaks for 10° ≤ 2θ ≤ 90°, low angle first:
- 12.44°, I = 89
- 22.95°, I = 97
- 24.71°, I = 78
- 26.89°, I = 90
- 31.49°, I = 100
- 32.24°, I = 64